You’ve found yourself on YouTube and clips of Tony Baker have you absolutely cracking up. That’s when it hits you. Having a comedian, maybe even Tony himself, is going to be the it-factor that takes your showcase to the next level. Don’t stress, doing this is more possible than you might realize.
If you understand that the right comedic talent is what your showcase needs, thanks to all the digital resources at our fingertips, making this a reality is more possible than you might have guessed. Curious how to make it happen? Don’t worry because we’ve got a few different routes to get you exactly where you want to be.
Booking Sites
If you aren’t often looking to bring guests into the mix, you might not know about all the options you have online. There’s a multitude of sites purpose built to connect you to any type of entertainer. Browse around, and as you’re doing that you’ll be able to sort by comedians in particular and you might be surprised as to who you find.
If you’re going through this route, make sure to keep distance in mind. Odds are, many potential choices will be happy to travel but them having to do so might come at an extra cost. An added plus here is that you’ll be able to see the dates everyone you’re considering is available and if you have a few great contenders, that might help your choosing once it’s down to those final few.
Social Media
If you have someone that you think would just be perfect, there’s the chance you don’t get an answer back, but reach out on whichever social media platform they might be on. It’s absolutely possible they love the idea you send their way and quickly, they’ll be set as a focal point of your upcoming showcase.
It might even be a smarter idea to reach out to them through more public means, like tweeting at them for example. It’s easy to think things will get lost in the mix that way, but if they see all this support, through likes and retweets, they may be more likely to do it than if you just tried for that simple one-on-one conversation.
Reach Out To Agents
-- Misplaced records of crystals --
/*
--- P ---
Compound: CaNiW
Source: Alexandria
Functional: PBE-GGA
Structure: optimized geometry

Summary:
For the calculated volume, the calculation gives 266.1 Å³ per cell. The crystal system is monoclinic.

a b c (Å): 20.1971 3.7328 3.5294
angles (deg): 90.00 90.09 90.00
Closest atoms and distances in Å follow each position.
Space group Cm (No. 8)
Symmetry-distinct sites (fractional):
Ca: 0.0000 0.0000 0.0000 [2 per cell]  1 Ni 2.65
Ca: 0.1555 0.5000 0.5004 [2 per cell]  1 Ni 2.65
Ni: 0.2865 0.5000 0.4977 [2 per cell]  2 Ni 2.43, 6 W 2.57-2.61, 1 Ca 2.65
Ni: 0.3690 0.5000 0.9986 [2 per cell]  2 Ni 2.43, 6 W 2.57-2.61, 1 Ca 2.65
W: 0.2789 0.0000 0.9981 [2 per cell]  6 Ni 2.57-2.61, 2 W 2.65
W: 0.3766 0.0000 0.4986 [2 per cell]  6 Ni 2.57-2.61, 2 W 2.65



--- Q ---
Compound: CaNiW
Source: Alexandria
Functional: PBE-GGA
Structure: optimized geometry

Summary:
For the calculated volume, the calculation gives 118.3 Å³ per cell. The crystal system is monoclinic.

a b c (Å): 2.9755 3.4679 11.4619
angles (deg): 90.00 90.14 90.00
Closest atoms and distances in Å follow each position.
Space group Pm (No. 6)
Symmetry-distinct sites (fractional):
Ca: 0.0000 0.0000 0.0000 [1 per cell]  2 Ca 2.98, 4 Ni 3.00, 1 W 3.20
Ca: 0.4911 0.5000 0.2995 [1 per cell]  2 Ca 2.98, 4 W 3.21
Ni: 0.4947 0.5000 0.6029 [1 per cell]  8 W 2.59-2.65, 1 Ni 2.61
Ni: 0.4981 0.5000 0.8302 [1 per cell]  1 Ni 2.61, 4 W 2.61
W: 0.9930 0.0000 0.4957 [1 per cell]  1 W 2.58, 4 Ni 2.59
W: 0.9968 0.0000 0.7204 [1 per cell]  1 W 2.58, 8 Ni 2.61-2.65



Verdict on stability: P comes out on top.



--- P ---
Compound: CaNiW
Source: Alexandria
Functional: PBE-GGA
Structure: optimized geometry

Summary:
For the calculated volume, the calculation gives 238.1 Å³ per cell. The crystal system is cubic.

a b c (Å): 6.1980 6.1980 6.1980
angles (deg): 90.00 90.00 90.00
Closest atoms and distances in Å follow each position.
Space group F-43m (No. 216)
Symmetry-distinct sites (fractional):
Ca: 0.0000 0.0000 0.0000 [4 per cell]  4 Ni 2.68
Ni: 0.2500 0.2500 0.2500 [4 per cell]  4 Ca 2.68, 4 W 2.68
W: 0.0000 0.0000 0.5000 [4 per cell]  4 Ni 2.68



--- Q ---
Compound: CaNiW
Source: Alexandria
Functional: PBE-GGA
Structure: optimized geometry

Summary:
For the calculated volume, the calculation gives 219.6 Å³ per cell. The crystal system is orthorhombic.

a b c (Å): 5.0622 5.7014 7.6099
angles (deg): 90.00 90.00 90.00
Closest atoms and distances in Å follow each position.
Space group Imma (No. 74)
Symmetry-distinct sites (fractional):
Ca: 0.0000 0.2500 0.1271 [4 per cell]  6 Ni 3.06-3.18, 6 W 3.14-3.26, 2 Ca 3.15
Ni: 0.0000 0.0000 0.5000 [4 per cell]  4 W 2.69, 2 Ni 2.85
W: 0.2500 0.2500 0.7500 [4 per cell]  2 W 2.53, 4 Ni 2.69



Verdict on stability: Q comes out on top.


Below is a relaxed structure of PmGd2F, with properties calculated at the GGA-PBE level.

Lattice parameters (Å, degrees): 3.7274 3.7274 26.0852 90.00 90.00 120.00
Closest atoms and distances in Å follow each position.
*/
This might feel a little old school next to the other options here, but it might be the very thing that gets you your dream choice. With a little searching around on the internet, you should be able to find out who represents your favorites. You might even be surprised to learn that multiple choices of yours are repped by the same agency.
If you can get a conversation with the right person, do so with a plan in mind. Have everything laid out and make a solid offer. If you can convince them that being a part of your showcase is the right move for their client professionally, they will be sure to convince their client as soon as possible.